Im not sure what to do I need some input

DR growgood

Well-Known Member
i need help my plants are on there 30th day of flowering and the trics are already turning amber and the lower leaves are turning yellow my problem is should i start flushing or should i let them go the full 60 day's i dont want to wait and then have them die and not flush them what do u guys think here are the spec's

Strian haze
system deep water culture hydro
temp 72 degree's
ph 6.3
30 day's into flower
vegged for 28 day's taken from clone

oh by the way the bud's are huge too but how can it be ready there's just no way

[1]
Material: CoO4
Method: DFT, PBE+U
State: relaxed

The value obtained for the size of the total moment is 1.00 μB per formula unit. Its space-group type is P2_1/m. The formation energy from the elements is -4.8 kJ per mole of atoms. The total energy comes out at -4.5522 eV/atom. For the mass density, the calculation gives 2.1 g/cm3.

a b c (Å): 6.4767 5.5002 5.5161
angles (deg): 89.41 90.00 90.00
Closest atoms and distances in Å follow each position.
Fractional coordinates of all 10 atoms:
O 0.7500 0.3210 0.6279  1 Co 1.63
O 0.2500 0.6790 0.3721  1 Co 1.63
O 0.7500 0.6034 0.2435  1 Co 1.60
O 0.9554 0.1917 0.2379  1 Co 1.61
O 0.2500 0.3966 0.7565  1 Co 1.60
Co 0.2500 0.6754 0.6680  4 O 1.60-1.63
O 0.5446 0.1917 0.2379  1 Co 1.61
Co 0.7500 0.3246 0.3320  4 O 1.60-1.63
O 0.0446 0.8083 0.7621  1 Co 1.61
O 0.4554 0.8083 0.7621  1 Co 1.61



[2]
Material: Co2C2O7
Method: DFT, PBE+U
State: relaxed

The value obtained for the size of the total moment is 8.00 μB per formula unit. Its space-group type is P321. The formation energy from the elements is -137.6 kJ per mole of atoms. The total energy comes out at -6.8099 eV/atom. For the mass density, the calculation gives 2.4 g/cm3. For the relative energy among the computed polymorphs, the calculation gives 13 meV/atom.

a b c (Å): 8.5203 8.5203 8.2488
angles (deg): 90.00 90.00 120.00
Closest atoms and distances in Å follow each position.
Fractional coordinates of all 33 atoms:
C 0.6610 0.9979 0.2662  3 O 1.27-1.30
O 0.9047 0.4897 0.7400  1 C 1.27
O 0.9336 0.7636 0.7800  1 C 1.30
C 0.9979 0.6610 0.7338  3 O 1.27-1.30
Co 0.0000 0.0000 0.2844  4 O 1.78-1.88
O 0.2619 0.4241 0.6759  1 C 1.30
C 0.0021 0.6631 0.2662  3 O 1.27-1.30
O 0.5103 0.4151 0.7400  1 C 1.27
Co 0.0000 0.0000 0.7156  4 O 1.78-1.88
C 0.3369 0.3390 0.2662  3 O 1.27-1.30
O 0.5759 0.8378 0.6759  1 C 1.30
O 0.3333 0.6667 0.9592  2 Co 1.78-1.80
O 0.0664 0.8300 0.2200  1 C 1.30
Co 0.3333 0.6667 0.7410  4 O 1.80-1.92
O 0.4897 0.9047 0.2600  1 C 1.27
Co 0.3333 0.6667 0.1755  4 O 1.78-1.92
O 0.1700 0.2364 0.2200  1 C 1.30
C 0.3390 0.3369 0.7338  3 O 1.27-1.30
O 0.4241 0.2619 0.3241  1 C 1.30
O 0.0000 0.0000 0.5000  2 Co 1.78
O 0.8378 0.5759 0.3241  1 C 1.30
O 0.5849 0.0953 0.7400  1 C 1.27
O 0.7636 0.9336 0.2200  1 C 1.30
Co 0.6667 0.3333 0.2590  4 O 1.80-1.92
O 0.6667 0.3333 0.0408  2 Co 1.78-1.80
Co 0.6667 0.3333 0.8245  4 O 1.78-1.92
O 0.8300 0.0664 0.7800  1 C 1.30
C 0.6631 0.0021 0.7338  3 O 1.27-1.30
O 0.0953 0.5849 0.2600  1 C 1.27
O 0.2364 0.1700 0.7800  1 C 1.30
O 0.7381 0.1622 0.3241  1 C 1.30
O 0.1622 0.7381 0.6759  1 C 1.30
O 0.4151 0.5103 0.2600  1 C 1.27



[3]
Material: NaCr2O4
Method: DFT, PBE+U
State: relaxed

oh another qustion how long should i flush for 1 or 2 week's

here are the pics





View attachment 541773

Illegal Smile

I agree it can't be ready. I think the trichs you are seeing are just preliminary ones and, amber or not, you gotta wait for the big wave of trichs to appear and mature. I'd just try to get it healthy and keep it going. On the other hand, you say the buds are big so if you are satisfied with what the yiled looks like right now, I'd trim a piece of bud and try it. It's easy to gamble with someone else's product, but if it were mine I'd gamble on waiting. I think. bongsmilie


Active Member
be patient thats the key. they look really nice though ,congrats. your yield looks to be very fruitful. :weed:

Green Cross

Well-Known Member
1. Take a deep breath and calm down

2. Haze takes "70 to 80 days Indoors"

3. Put away your scope until 50% of the pistols whither

4. Flush when you think they're ready to be harvested, because they probably still won't be ready.

It should look more like this when it's ripe


mine are grandaddy purple and growing outside but are doing the same thing!!! The fan leaves started yellowing and falling off a couple weeks ago, now this. Should I cut off the ones that are yellowing? Right now am feeding bloom terra, when you say to flush them you mean just water a couple weeks before harvest?


New Member
Once a leaf yellows, it is no longer productive. yes, you should trim it....especially if you have humidity in the air. My mold always starts at a small dead leaf I somehow missed. Once that mold gets inside the cola..... ur almost certainly going to end up topping that cola off.


Well-Known Member
your pistols are not turning color yet. as Greencross says, waiting will payoff. good luck, they sure are pretty.


Once a leaf yellows, it is no longer productive. yes, you should trim it....especially if you have humidity in the air. My mold always starts at a small dead leaf I somehow missed. Once that mold gets inside the cola..... ur almost certainly going to end up topping that cola off.

it is at the top of the cola, so it's probably mold? I have to get batteries, will get pic this evening..


New Member
If you have moisture and you have dead leaves..... mold is not far behind. Separate the cola gently and peek inside. mold always starts on the inside, which is why by the time some ppl notice it on the outside.... it's too late.

DR growgood

Well-Known Member
thanks guys u deffinatly eased my mind i think i am worried becuse this harvest is my best so far thanks for all the good input it gratly apriciated